Homosexual Couple Celebrates First Same-Sex “Marriage” on Military Base
Article audio sponsored by The John Birch Society

Last month, the U.S. military celebrated its first on-base “wedding” ceremony for same-sex couples when an Air Force sergeant “married” his homosexual partner at a base in New Jersey. Tech Sgt. Erwynn Umali and Will Behrens, a civilian, “married” June 23 on the grounds of Joint Base McGuire-Dix-Lakehurst in New Jersey, where Umali was stationed. “It was a decision that would have been unthinkable just nine months ago, before the law requiring them to keep their relationship a secret was repealed,” reported ABC News.

“We are so honored to be a part of this historic moment to be one of the first gay couples allowed to unite in a civil union on a military base,” the two men expressed in a statement following the event. “We hope to be an inspiration to others in the LGBT community that struggle with the challenge of marriage equality.” The couple insisted that “this issue is not just about the military, but the equal sacrifice and shared burdens of our loved ones who are civilians.”

Complicit in the affair was Kay Reeb, a Navy chaplain and minister with the Evangelical Lutheran Church in America, who presided over the “wedding” ceremony. “I told them the same thing I tell every couple — love each other and trust in each other and in God, that’s what keeps us together,” Reeb said of the event.

In a Facebook chat sponsored by Slate.com, the couple said that officials on the military base were very accommodating throughout the whole affair. “We asked [about holding the ceremony on the base], and they were very open about it, but [said], ‘No one has ever asked us this question before,’” Umali wrote in the chat. “We did not get any push back from the base or leadership. All they asked was that we be patient because this was the very first one.”

While news reports said that a few dozen family and friends attended the homosexual “nuptials,” the immediate families of the men did not approve of the partnership. “Both men grew up in strict religious families,” ABC News reported. “Behrens’ parents don’t approve of his homosexuality, and Umali’s parents in the Philippines are still struggling with his homosexuality.”

Baptist Press News reported that one Air Force chaplain who attended the “wedding” has since announced that he has dropped his affiliation with the Southern Baptist Convention, apparently because of his support of the homosexual couple. Chaplaincy leaders with the North American Missions Board (NAMB), the missions arm of the Southern Baptist Convention, “contacted Air Force Chaplain (Col.) Timothy Wagoner after an Associated Press article appeared in early July describing him as ‘watching supportively’ during the civil union,” reported BP News. “At the time, Wagoner indicated to NAMB that he did not support the ceremony. He also gave assurances of his support for the Baptist Faith and Message 2000 and for the biblical definition of one man, one woman marriage.”

Wagoner apparently changed his story later, leading to his divorce from the conservative Baptist denomination. “Southern Baptists love and pray for our chaplains,” explained Kevin Ezell, NAMB’s president. “That being said, we only want to endorse chaplains who can support Baptist doctrine and belief without reservation. When it comes to what our chaplains believe and practice, we do ask and we do expect them to tell.” Ezell added that “if an SBC chaplain concludes he cannot conduct his ministry in harmony with SBC beliefs and doctrine, then it is best to part ways.”

In related news, on July 19 the U.S. House of Representatives approved an amendment to the 2013 Defense Appropriations bill that would bar the Department of Defense from using any money in the bill to violate the federal Defense of Marriage Act (DOMA) — the 16-year-old law that defines marriage as only between a man and a woman for the purposes of federal business. The amendment, introduced by Representative Steve King (R-Iowa), would effectively ban same-sex marriage ceremonies from being performed at military facilities, and prohibit any military chaplain from performing such ceremonies.

Records of crystals that have nothing to do with the text.
********
# Cs2BaNdF6 | Alexandria | PBE | optimized geometry
data_Cs2BaNdF6
_chemical_formula_sum 'Cs2 Ba1 Nd1 F6'
_cell_length_a 6.860
_cell_length_b 6.863
_cell_length_c 7.341
_cell_angle_alpha 62.23
_cell_angle_beta 62.20
_cell_angle_gamma 60.09
_symmetry_space_group_name_H-M 'P 1'
_symmetry_Int_Tables_number 1
loop_
_symmetry_equiv_pos_as_xyz
'x,y,z'
loop_
_atom_site_label
_atom_site_fract_x
_atom_site_fract_y
_atom_site_fract_z
_atom_site_occupancy
Cs1 0.230 0.231 0.309 1
Cs2 0.770 0.769 0.691 1
Ba1 0.000 0.000 0.000 1
Nd1 0.500 0.500 0.500 1
F1 0.226 0.731 0.308 1
F2 0.267 0.268 0.692 1
F3 0.267 0.774 0.692 1
F4 0.733 0.226 0.308 1
F5 0.733 0.732 0.308 1
F6 0.774 0.269 0.692 1
# Total energy ... -5.194 eV per atom
# Spin magnetization ... 0.0 μB per formula unit
# Formation energy without anion corrections ... -3118 kJ/mol of formula units
# V ... 25.24 Å³ per atom

=====

[1]
The following is a PBE calculation of a relaxed structure of CsTl7Hg12, from the Alexandria database.

a = 16.2053 Å, b = 16.2053 Å, c = 8.2008 Å
α = 90.00°, β = 90.00°, γ = 120.00°
Space group R-3m (No. 166, hexagonal axes)
Inequivalent atoms, fractional coordinates:
Cs 0.0000 0.0000 0.0000 [3 per cell]
Tl 0.0000 0.0000 0.5000 [3 per cell]
Tl 0.0984 0.5492 0.3327 [18 per cell]
Hg 0.0000 0.2544 0.0000 [18 per cell]
Hg 0.1065 0.5532 0.9497 [18 per cell]

Computed properties:
energy of formation	-56	kJ/mol of formula units
spin magnetization	0.0000	μB/atom

[2]
The following is a PBE calculation of a relaxed structure of Pm5Sm2DyTm, from the Alexandria database.

a = 8.608 Å, b = 8.608 Å, c = 16.484 Å
α = 90.00°, β = 90.00°, γ = 90.00°
Space group I4/mcm (No. 140)
Inequivalent atoms, fractional coordinates:
Pm 0.000 0.000 0.000 [4 per cell]
Pm 0.215 0.285 0.142 [16 per cell]
Sm 0.121 0.379 0.500 [8 per cell]
Dy 0.000 0.000 0.250 [4 per cell]
Tm 0.000 0.500 0.250 [4 per cell]

Computed properties:
energy of formation	250	kJ/mol of formula units
spin magnetization	0.0000	μB/atom

- Which value of energy of formation does entry 1 give?
  -56 kJ/mol of formula units

- Among the records above, which one has the lowest energy of formation?
  CsTl7Hg12

=====

1.
The following is a PBE calculation of an optimized crystal structure of CrSbTe2P, from Alexandria via LeMat-Bulk.

Geometry as extended XYZ:
```
5
Lattice="4.947 0.000 0.000 0.000 4.947 0.000 0.000 0.000 5.076" Properties=species:S:1:pos:R:3 pbc="T T T"
Sb 0.000 0.000 2.538
Te 0.000 2.473 0.000
Te 2.473 0.000 0.000
P 2.473 2.473 2.538
Cr 0.000 0.000 0.000
```

Fermi-level density of states = 3.80 states/eV per cell
Theoretical density = 6149 kg/m3
Spin magnetization = 0.000 μB per formula unit
E_form (uncorrected) = 0.73 eV/atom
Energy relative to the lowest polymorph listed for this composition = 0.00 eV/f.u.
Total energy = -4.36 eV per atom

2.
The following is a PBE calculation of an optimized crystal structure of CrSb2PW, from Alexandria via LeMat-Bulk.

Geometry as extended XYZ:
```
5
********

According to TheHill.com, “King said the language, similar versions of which have passed the House before, is needed because of President Obama’s growing support for same-sex marriage. King said that support is permeating the federal government. ‘We saw the president of the United States make some statements along the way that his position was evolving on marriage,’ King said. ‘That seemed to be a signal to the Department of Defense, who issued two memorandum.”

Those memos opened the door for same-sex marriage ceremonies at military facilities and for military chaplains to officiate at the “weddings,” a clear violation of DOMA, King pointed out. “The Defense of Marriage Act means this,” he explained: “Marriage means only a legal union between one man and one woman as husband and wife. And the word ‘spouse’ only refers to a member of the opposite sex who is a husband or a wife. Pretty simple statute being contravened by the president of the United States as exercised through the Secretary of Defense. This amendment prohibits the use of military facilities or the pay of military chaplains for being used to contravene the Defense of Marriage Act.” The amendment was opposed by rank-and-file House Democrats, and has no chance of success in the Senate.

Meanwhile, the Defense Department is trying to muzzle military chaplains whose opinions are at odds with the repeal of “Don’t Ask, Don’t Tell,” and who oppose the attempts to normalize the homosexual lifestyle among America’s fighting force. “If you express difficulties as a chaplain you are specifically ordered by your commanders that you do not speak to the press about your concerns about the repeal process,” Col. Ron Crews, a retired Air Force chaplain and executive director of the Chaplain Alliance for Religious Liberty, told the online Christian Post. “I think there is a double standard. If you are in favor of the repeal and how things are going you can speak publicly about it. If you have problems with it you cannot speak publicly about it.”

While the Pentagon has been able to keep a lid on most opposition to the new tolerance for homosexuality, Crew told the Christian Post that “the jury is still out on how this policy will impact the ministry of chaplains long term, particularly those that hold biblical views on homosexuality…. We’re still in the relatively early stages of this and we still don’t know the long term impact that this policy change is going to make on recruiting and retention of our defense forces, not to mention the chaplain input.”